Tuesday, May 21, 2019


I don't know if you know anything about the National Hockey League but the rough equivalent of a solar eclipse happened tonight.  For the first time in 49 years, one of the teams in this year's Stanley Cup finals will be the St. Louis Blues.

I'm 63 years old.  I was 12 going on 13 when the Blues got started in 1967.  And we weren't even supposed to get that team; I've read that it was supposed to go to Baltimore.  But whichever Wirtz (the family who owned the Chicago Black Hawks) ran the Hawks at the time offered a deal.

Apparently, the Hawks ran a Central Hockey League farm team in St. Louis called the St. Louis Braves. I loved those guys; first professional sports team I ever listened to religiously on the radio regardless of what my parents thought about it.  Somehow, the Wirtz family also found itself stuck with the St. Louis Arena which was a dump back then. 

So whatever Wirtz this was had a simple proposal for a local named Sid Salomon Jr., a Missouri Democratic Party power broker who supposedly got Harry Truman on the '44 presidential ticket.  Take the St. Louis Arena off my hands and I'll get you into the NHL.

Salomon wasn't at all crazy about the idea but his son, Sid III, was and, I guess, talked his old man into it.  So Salomon bought the Arena, Wirtz returned the favor and the St. Louis Blues were born.  Salomon did what he could to improve the Arena, it wasn't too bad and I spent a lot of my youth there watching hockey, basketball, indoor soccer, Roller Derby, things like that.

But the place, in far too many ways, remained a dump until the day that they blew it up.

In one fell swoop, the NHL went from six teams to twelve.  I guess there was nothing else they could have done but the league kept the six old teams in one division and dumped the six expansion teams into the other one.

For the first three years they existed, my Blues won their division and got into the Stanley Cup finals.  And they didn't win a single game.  Twice against Montreal (Jean Beliveau era), once against Boston (Bobby Orr era).

Four-and-out all three years. 

And my Blues haven't been close to being back ever since. 

Until today.

It's always been touch-and-go for this franchise.  In the 80's, they used to be regularly outdrawn by indoor soccer.  Before that, they came this close to moving to Saskatoon.  They've torn this team down and rebuilt it more times than I can count.  And it was at the end of just last year that the Blues were in such sorry shape that many of us were absolutely convinced that they wouldn't make the playoffs this season at all.

But if my boys actually do end up taking down this pot, figure on at least a week of Web silence from this end because I'll be too continually drunk to get out on the Internet.

UPDATE:  This is how weird this NHL season has been around here.



  1. Virginia finally won an NCAA basketball championship only to have most of her first string go pro. Glory is fleeting, Chris, so enjoy it while you can.

    & I could say that without waking up your robot-buster.

  2. Now that I'm over the Blues eliminating my home town Winnipeg Jets, I hope they take out the Bruins as well. It would be good to see them win their first ever cup.

  3. This place would be wasted if that happened. :-)

  4. There was lots of excitement around here about the Hurricanes getting into the playoffs at all, and then coming from behind to win the first round. Good luck to your Blues.

  5. This Hock Key of which you speak ... How is it played?

  6. Thanks very much, Katherine. Thing that bugs us here is that your 'Canes already have a Stanley Cup to their credit while my boys haven't been close to one in their long history. :-)

  7. Yeah, that was a huge deal here when it happened. Who's favored, the Bruins? "Who's favored" hasn't meant much in the playoffs so far, so, Go Blues!

  8. Well, I'm happy for you Chris, but I'm still rootin' for the "Brooons."

____________
For RbVInF6, a GGA+U-relaxed structure gives the theoretical powder XRD pattern in this record (Cu Kα, 1.54184 Å).
Intensities are scaled so that the largest is 100.

Structure:
```
RbVInF6
1.0
5.1022 -3.0538 0.0000
5.1022 3.0538 0.0000
-0.1865 0.0000 5.0799
Rb V In F
1 1 1 6
Direct
0.0000 0.0000 0.0000
0.3449 0.3449 0.6563
0.6698 0.6698 0.4217
0.0174 0.4700 0.8113
0.2284 0.6733 0.5000
0.2291 0.2291 0.3717
0.4625 0.4625 0.9394
0.4700 0.0174 0.8113
0.6733 0.2284 0.5000
```

Peak list (6 most intense, 15 to 90 degrees two-theta, most intense first)
d 3.613, 24.6°, I = 100; d 2.347, 38.4°, I = 63; d 2.970, 30.1°, I = 60; d 3.667, 24.3°, I = 55; d 2.243, 40.2°, I = 36; d 2.311, 39.0°, I = 32

=====

Computed powder XRD pattern of NaNbAsSe2 for Cu Kα, 1.54184 Å, from a structure optimized by DFT (GGA-PBE).

Most intense lines, 10° ≤ 2θ ≤ 90°, sorted by position:
17.42 deg, I = 100, (0 0 1); 30.41 deg, I = 41, (1 1 1); 35.22 deg, I = 63, (2 0 0); 35.36 deg, I = 31, (0 0 2); 39.55 deg, I = 33, (2 0 1); 39.66 deg, I = 16, (1 0 2); 50.66 deg, I = 22, (2 2 0); 50.76 deg, I = 44, (2 0 2); 63.29 deg, I = 22, (2 2 2); 85.17 deg, I = 19, (4 2 0)

a = 5.0970 Å, b = 5.0970 Å, c = 5.0774 Å
α = 90.00°, β = 90.00°, γ = 90.00°
Space group P4/mmm (No. 123)
Unique sites:
Na: 0.0000 0.0000 0.0000 x1
Nb: 0.5000 0.5000 0.5000 x1
As: 0.5000 0.5000 0.0000 x1
Se: 0.0000 0.5000 0.5000 x2


Computed powder XRD pattern of KAg6Pd2 for Cu Kα, 1.54184 Å, from a structure optimized by DFT (GGA-PBE).

Most intense lines, 10° ≤ 2θ ≤ 90°, sorted by position:
12.46 deg, I = 12, (1 1 1); 20.41 deg, I = 25, (2 2 0); 23.99 deg, I = 20, (3 1 1); 25.07 deg, I = 14, (2 2 2); 29.03 deg, I = 39, (4 0 0); 35.75 deg, I = 12, (4 2 2); 41.52 deg, I = 100, (4 4 0); 60.16 deg, I = 16, (8 0 0); 68.16 deg, I = 12, (8 4 0); 75.74 deg, I = 31, (8 4 4)

a = 12.3046 Å, b = 12.3046 Å, c = 12.3046 Å
α = 90.00°, β = 90.00°, γ = 90.00°
Space group Fd-3m (No. 227, origin choice 2)
Unique sites:
K: 0.1250 0.1250 0.1250 x8
Ag: 0.1216 0.3750 0.8750 x48
Pd: 0.0000 0.0000 0.5000 x16


Computed powder XRD pattern of DyTmB for Cu Kα, 1.54184 Å, from a structure optimized by DFT (GGA-PBE).

Most intense lines, 10° ≤ 2θ ≤ 90°, sorted by position:
27.90 deg, I = 10, (3 0 0); 28.84 deg, I = 100, (3 -2 2); 31.49 deg, I = 28, (1 0 4); 32.33 deg, I = 15, (2 2 0); 37.02 deg, I = 27, (3 1 2); 39.18 deg, I = 24, (2 1 4); 43.22 deg, I = 22, (1 4 0); 57.14 deg, I = 27, (4 -2 6); 60.77 deg, I = 11, (7 -4 2); 62.28 deg, I = 11, (6 -1 4)

a = 11.0757 Å, b = 11.0757 Å, c = 11.8972 Å
α = 90.00°, β = 90.00°, γ = 120.00°
Space group R-3 (No. 148, hexagonal axes)
Unique sites:
Dy: 0.0291 0.1970 0.3811 x18
Tm: 0.0207 0.2071 0.8885 x18
B: 0.0506 0.2715 0.6885 x18


Computed powder XRD pattern of NaCa2Si3O9 for Cu Kα, 1.54184 Å, from a structure optimized by DFT (GGA-PBE).

Most intense lines, 10° ≤ 2θ ≤ 90°, sorted by position:
____________
Here the page continues =

  9. This is shaping up to be a Battle of the Goalies because both Rask and Binnington are on fire.

  10. That's okay, Myrmidon. Figured you would and you should. And if your guys take this thing 4 games to 2 or something, this season will still be far and away the best the Blues have ever managed in their entire history. After all, five or six months back, nobody here thought the Blues would even make the playoffs at all.

  11. It's like when the St. Louis Rams first made the Super Bowl in 2000. Just the fact that they got there meant that season was more wildly successful than I ever thought it could be.

    But actually WIN the thing? That was and still is beyond my comprehension. :-)
